(Source)
- - -
Density functional theory data (PBE with a Hubbard U) for a geometry-optimized LiMn2B2O6 structure.

Lattice parameters (Å, degrees): 9.1056 9.1381 10.3202 88.09 89.56 60.27
Last column: nearest neighbours and their distance in Å.
Space group P1 (No. 1)
Inequivalent atoms, fractional coordinates:
Li 0.0000 0.0000 0.0000 [1 per cell]  3 O 1.89-2.04
Li 0.0086 0.9956 0.4895 [1 per cell]  3 O 1.91-1.99
Li 0.2254 0.5128 0.7284 [1 per cell]  4 O 1.96-2.13
Li 0.3138 0.3153 0.4369 [1 per cell]  4 O 1.95-2.16
Li 0.6402 0.6611 0.0047 [1 per cell]  4 O 1.94-2.05
Li 0.6836 0.6385 0.4796 [1 per cell]  3 O 1.90-1.99
Mn 0.0225 0.3286 0.9488 [1 per cell]  5 O 1.93-2.12
Mn 0.2177 0.1630 0.7030 [1 per cell]  5 O 1.96-2.10
Mn 0.2486 0.8412 0.2059 [1 per cell]  5 O 1.94-2.07
Mn 0.3303 0.6111 0.9662 [1 per cell]  4 O 2.04-2.25
Mn 0.3556 0.9648 0.4505 [1 per cell]  5 O 2.03-2.25
Mn 0.5457 0.1994 0.2053 [1 per cell]  4 O 2.03-2.18
Mn 0.5752 0.5286 0.7183 [1 per cell]  4 O 2.00-2.14
Mn 0.6414 0.3220 0.4622 [1 per cell]  5 O 1.95-2.07
Mn 0.6623 0.0016 0.9595 [1 per cell]  5 O 1.96-2.06
Mn 0.8875 0.8817 0.7095 [1 per cell]  5 O 2.02-2.24
Mn 0.8893 0.5233 0.2103 [1 per cell]  4 O 2.04-2.18
Mn 0.9931 0.6612 0.4537 [1 per cell]  5 O 1.95-2.07
B 0.2148 0.1997 0.2075 [1 per cell]  3 O 1.35-1.40
B 0.2398 0.8472 0.6985 [1 per cell]  3 O 1.35-1.43
B 0.3337 0.6398 0.4475 [1 per cell]  3 O 1.36-1.42
B 0.3377 0.9625 0.9584 [1 per cell]  3 O 1.34-1.41
B 0.5405 0.2080 0.7055 [1 per cell]  3 O 1.35-1.42
B 0.5492 0.5246 0.2155 [1 per cell]  3 O 1.35-1.41
B 0.6779 0.9720 0.4563 [1 per cell]  3 O 1.35-1.41
B 0.6858 0.3153 0.9598 [1 per cell]  3 O 1.35-1.42
B 0.8878 0.8642 0.1961 [1 per cell]  3 O 1.34-1.42
B 0.9137 0.5291 0.6885 [1 per cell]  3 O 1.33-1.42
B 0.9858 0.6455 0.9432 [1 per cell]  3 O 1.36-1.41
B 0.9961 0.3078 0.4678 [1 per cell]  3 O 1.34-1.43
O 0.0128 0.3762 0.7590 [1 per cell]  1 B 1.41
O 0.0662 0.2869 0.1330 [1 per cell]  1 B 1.40
O 0.0712 0.9403 0.6751 [1 per cell]  1 B 1.35
O 0.1538 0.5441 0.9242 [1 per cell]  1 B 1.36
O 0.1674 0.2189 0.5141 [1 per cell]  1 B 1.43
O 0.2270 0.1170 0.8930 [1 per cell]  1 B 1.41
O 0.2473 0.8103 0.4014 [1 per cell]  1 B 1.42
O 0.2522 0.5500 0.4599 [1 per cell]  1 B 1.36
O 0.2574 0.8773 0.0139 [1 per cell]  1 B 1.41
O 0.2664 0.0362 0.2522 [1 per cell]  1 B 1.39
O 0.3004 0.2760 0.2476 [1 per cell]  1 B 1.35
O 0.3183 0.6835 0.7497 [1 per cell]  1 B 1.39
O 0.3396 0.9231 0.6652 [1 per cell]  1 B 1.43
O 0.3722 0.2732 0.6943 [1 per cell]  1 B 1.35
O 0.3778 0.5975 0.1771 [1 per cell]  1 B 1.41
O 0.5047 0.5733 0.4820 [1 per cell]  1 B 1.41
O 0.5053 0.9009 0.9652 [1 per cell]  1 B 1.34
O 0.5828 0.1444 0.4258 [1 per cell]  1 B 1.40
O 0.5887 0.2402 0.0022 [1 per cell]  1 B 1.42
O 0.5905 0.4876 0.9242 [1 per cell]  1 B 1.41
O 0.6093 0.8714 0.4487 [1 per cell]  1 B 1.35
O 0.6222 0.3630 0.2751 [1 per cell]  1 B 1.40
O 0.6240 0.2903 0.6488 [1 per cell]  1 B 1.42
O 0.6379 0.6041 0.1906 [1 per cell]  1 B 1.35
O 0.6470 0.0561 0.7733 [1 per cell]  1 B 1.40
O 0.7204 0.9465 0.1451 [1 per cell]  1 B 1.42
O 0.7501 0.5890 0.6627 [1 per cell]  1 B 1.33
O 0.8482 0.9070 0.4945 [1 per cell]  1 B 1.41
O 0.8558 0.2296 0.9516 [1 per cell]  1 B 1.35
O 0.8883 0.5724 0.9868 [1 per cell]  1 B 1.41
O 0.8989 0.2353 0.4683 [1 per cell]  1 B 1.34
O 0.9038 0.8184 0.9141 [1 per cell]  1 B 1.39
O 0.9327 0.7159 0.2710 [1 per cell]  1 B 1.41
O 0.9363 0.4728 0.4184 [1 per cell]  1 B 1.40
O 0.9959 0.9211 0.1735 [1 per cell]  1 B 1.34
O 0.9984 0.6157 0.6446 [1 per cell]  1 B 1.42

Calculated values
**Energy of formation**: -2.425 eV per atom
**Total magnetization**: 0.818 μB per atom
**Energy relative to the lowest polymorph listed for this composition**: 7 meV per atom


# GGA-PBE Cu3BO5, relaxed
# calculated formation energy = -1.4249 eV/atom
# polymorph energy (0 for the lowest one) = 0.00 eV per formula unit
data_Cu3BO5
_chemical_formula_sum 'Cu12 B4 O20'
_cell_length_a 3.3108
_cell_length_b 9.3922
_cell_length_c 11.9956
_cell_angle_alpha 90.00
- - -

(Work order)
Start at the top of the lines further up and set down each line, ending with the one that has "0.0022 [1", please.

(Reply)
Density functional theory data (PBE with a Hubbard U) for a geometry-optimized LiMn2B2O6 structure.

Lattice parameters (Å, degrees): 9.1056 9.1381 10.3202 88.09 89.56 60.27
Last column: nearest neighbours and their distance in Å.
Space group P1 (No. 1)
Inequivalent atoms, fractional coordinates:
Li 0.0000 0.0000 0.0000 [1 per cell]  3 O 1.89-2.04
Li 0.0086 0.9956 0.4895 [1 per cell]  3 O 1.91-1.99
Li 0.2254 0.5128 0.7284 [1 per cell]  4 O 1.96-2.13
Li 0.3138 0.3153 0.4369 [1 per cell]  4 O 1.95-2.16
Li 0.6402 0.6611 0.0047 [1 per cell]  4 O 1.94-2.05
Li 0.6836 0.6385 0.4796 [1 per cell]  3 O 1.90-1.99
Mn 0.0225 0.3286 0.9488 [1 per cell]  5 O 1.93-2.12
Mn 0.2177 0.1630 0.7030 [1 per cell]  5 O 1.96-2.10
Mn 0.2486 0.8412 0.2059 [1 per cell]  5 O 1.94-2.07
Mn 0.3303 0.6111 0.9662 [1 per cell]  4 O 2.04-2.25
Mn 0.3556 0.9648 0.4505 [1 per cell]  5 O 2.03-2.25
Mn 0.5457 0.1994 0.2053 [1 per cell]  4 O 2.03-2.18
Mn 0.5752 0.5286 0.7183 [1 per cell]  4 O 2.00-2.14
Mn 0.6414 0.3220 0.4622 [1 per cell]  5 O 1.95-2.07
Mn 0.6623 0.0016 0.9595 [1 per cell]  5 O 1.96-2.06
Mn 0.8875 0.8817 0.7095 [1 per cell]  5 O 2.02-2.24
Mn 0.8893 0.5233 0.2103 [1 per cell]  4 O 2.04-2.18
Mn 0.9931 0.6612 0.4537 [1 per cell]  5 O 1.95-2.07
B 0.2148 0.1997 0.2075 [1 per cell]  3 O 1.35-1.40
B 0.2398 0.8472 0.6985 [1 per cell]  3 O 1.35-1.43
B 0.3337 0.6398 0.4475 [1 per cell]  3 O 1.36-1.42
B 0.3377 0.9625 0.9584 [1 per cell]  3 O 1.34-1.41
B 0.5405 0.2080 0.7055 [1 per cell]  3 O 1.35-1.42
B 0.5492 0.5246 0.2155 [1 per cell]  3 O 1.35-1.41
B 0.6779 0.9720 0.4563 [1 per cell]  3 O 1.35-1.41
B 0.6858 0.3153 0.9598 [1 per cell]  3 O 1.35-1.42
B 0.8878 0.8642 0.1961 [1 per cell]  3 O 1.34-1.42
B 0.9137 0.5291 0.6885 [1 per cell]  3 O 1.33-1.42
B 0.9858 0.6455 0.9432 [1 per cell]  3 O 1.36-1.41
B 0.9961 0.3078 0.4678 [1 per cell]  3 O 1.34-1.43
O 0.0128 0.3762 0.7590 [1 per cell]  1 B 1.41
O 0.0662 0.2869 0.1330 [1 per cell]  1 B 1.40
O 0.0712 0.9403 0.6751 [1 per cell]  1 B 1.35
O 0.1538 0.5441 0.9242 [1 per cell]  1 B 1.36
O 0.1674 0.2189 0.5141 [1 per cell]  1 B 1.43
O 0.2270 0.1170 0.8930 [1 per cell]  1 B 1.41
O 0.2473 0.8103 0.4014 [1 per cell]  1 B 1.42
O 0.2522 0.5500 0.4599 [1 per cell]  1 B 1.36
O 0.2574 0.8773 0.0139 [1 per cell]  1 B 1.41
O 0.2664 0.0362 0.2522 [1 per cell]  1 B 1.39
O 0.3004 0.2760 0.2476 [1 per cell]  1 B 1.35
O 0.3183 0.6835 0.7497 [1 per cell]  1 B 1.39
O 0.3396 0.9231 0.6652 [1 per cell]  1 B 1.43
O 0.3722 0.2732 0.6943 [1 per cell]  1 B 1.35
O 0.3778 0.5975 0.1771 [1 per cell]  1 B 1.41
O 0.5047 0.5733 0.4820 [1 per cell]  1 B 1.41
O 0.5053 0.9009 0.9652 [1 per cell]  1 B 1.34
O 0.5828 0.1444 0.4258 [1 per cell]  1 B 1.40
O 0.5887 0.2402 0.0022 [1 per cell]  1 B 1.42